********
Record 1
# ZrAsW2 (GGA-PBEsol, optimized geometry)
data_ZrAsW2
_chemical_formula_sum 'Zr2 As2 W4'
_cell_length_a 4.2303
_cell_length_b 4.2303
_cell_length_c 7.4367
_cell_angle_alpha 90.00
_cell_angle_beta 90.00
_cell_angle_gamma 90.00
_space_group_name_H-M_alt 'I -4 m 2'
_space_group_IT_number 119
_space_group_name_Hall 'I -4 -2'
loop_
_atom_site_label
_atom_site_type_symbol
_atom_site_fract_x
_atom_site_fract_y
_atom_site_fract_z
_atom_site_occupancy
Zr1 Zr 0.0000 0.0000 0.0000 1
As1 As 0.0000 0.5000 0.2500 1
W1 W 0.0000 0.0000 0.5000 1
W2 W 0.0000 0.5000 0.7500 1
# Total energy ... -41.0 eV per formula unit
# N(E_F) ... 3.25 states/eV/f.u.
# Energy of formation ... 0.19 eV/atom

Record 2
# ZrAsW2 (GGA-PBEsol, optimized geometry)
data_ZrAsW2
_chemical_formula_sum 'Zr1 As1 W2'
_cell_length_a 3.4067
_cell_length_b 3.4067
_cell_length_c 5.7749
_cell_angle_alpha 90.00
_cell_angle_beta 90.00
_cell_angle_gamma 90.00
_space_group_name_H-M_alt 'P 4/m m m'
_space_group_IT_number 123
_space_group_name_Hall '-P 4 2'
loop_
_atom_site_label
_atom_site_type_symbol
_atom_site_fract_x
_atom_site_fract_y
_atom_site_fract_z
_atom_site_occupancy
Zr1 Zr 0.0000 0.0000 0.0000 1
As1 As 0.0000 0.0000 0.5000 1
W1 W 0.5000 0.5000 0.2715 1
# Total energy ... -41.1 eV per formula unit
# N(E_F) ... 2.50 states/eV/f.u.
# Energy of formation ... 0.18 eV/atom

Record 3
# ZrAs2W (GGA-PBEsol, optimized geometry)
data_ZrAs2W
_chemical_formula_sum 'Zr1 As2 W1'
_cell_length_a 3.4158
_cell_length_b 3.4158
_cell_length_c 5.8773
_cell_angle_alpha 90.00
_cell_angle_beta 90.00
_cell_angle_gamma 90.00
_space_group_name_H-M_alt 'P 4 m m'
_space_group_IT_number 99
_space_group_name_Hall 'P 4 -2'
loop_
_atom_site_label
_atom_site_type_symbol
_atom_site_fract_x
_atom_site_fract_y
_atom_site_fract_z
_atom_site_occupancy
Zr1 Zr 0.0000 0.0000 0.0000 1
As1 As 0.0000 0.0000 0.5101 1
As2 As 0.5000 0.5000 0.1920 1
W1 W 0.5000 0.5000 0.6863 1
# Total energy ... -34.8 eV per formula unit
# N(E_F) ... 1.70 states/eV/f.u.
# Energy of formation ... -0.42 eV/atom

Record 4
# ZrAs2W (GGA-PBEsol, optimized geometry)
data_ZrAs2W
_chemical_formula_sum 'Zr2 As4 W2'
_cell_length_a 9.3082
_cell_length_b 3.2806
_cell_length_c 4.5627
_cell_angle_alpha 90.00
_cell_angle_beta 103.19
_cell_angle_gamma 90.00
_space_group_name_H-M_alt 'C 1 m 1'
_space_group_IT_number 8
_space_group_name_Hall 'C -2y'
loop_
_atom_site_label
_atom_site_type_symbol
_atom_site_fract_x
_atom_site_fract_y
_atom_site_fract_z
_atom_site_occupancy
Zr1 Zr 0.0000 0.0000 0.0000 1
As1 As 0.0001 0.5000 0.5027 1
As2 As 0.2656 0.0000 0.8759 1
W1 W 0.2763 0.5000 0.3989 1
# Total energy ... -34.7 eV per formula unit
# N(E_F) ... 1.15 states/eV/f.u.
# Energy of formation ... -0.39 eV/atom

Record 5
# Zr4AsW (GGA-PBEsol, optimized geometry)
data_Zr4AsW
_chemical_formula_sum 'Zr16 As4 W4'
_cell_length_a 7.7990
_cell_length_b 7.7990
_cell_length_c 7.7990
_cell_angle_alpha 90.00
_cell_angle_beta 90.00
_cell_angle_gamma 90.00
_space_group_name_H-M_alt 'F -4 3 m'
_space_group_IT_number 216
_space_group_name_Hall 'F -4 2 3'
loop_
_atom_site_label
_atom_site_type_symbol
_atom_site_fract_x
_atom_site_fract_y
_atom_site_fract_z
_atom_site_occupancy
Zr1 Zr 0.1233 0.1233 0.1233 1
As1 As 0.0000 0.0000 0.5000 1
W1 W 0.2500 0.2500 0.7500 1
# Total energy ... -51.9 eV per formula unit
# N(E_F) ... 7.53 states/eV/f.u.
# Energy of formation ... 0.56 eV/atom

Record 6
# ZrAsW2 (GGA-PBEsol, optimized geometry)
data_ZrAsW2
_chemical_formula_sum 'Zr2 As2 W4'
_cell_length_a 3.3201
_cell_length_b 4.7867
_cell_length_c 8.4996
_cell_angle_alpha 90.00
_cell_angle_beta 90.00
_cell_angle_gamma 90.00
_space_group_name_H-M_alt 'C m m m'
_space_group_IT_number 65
_space_group_name_Hall '-C 2 2'
loop_
_atom_site_label
_atom_site_type_symbol
_atom_site_fract_x
_atom_site_fract_y
_atom_site_fract_z
_atom_site_occupancy
Zr1 Zr 0.0000 0.0000 0.0000 1
As1 As 0.0000 0.0000 0.5000 1
W1 W 0.0000 0.5000 0.2708 1
# Total energy ... -40.8 eV per formula unit
********
Now print the whole of the listing further above without altering anything.
Record 1
# ZrAsW2 (GGA-PBEsol, optimized geometry)
data_ZrAsW2
_chemical_formula_sum 'Zr2 As2 W4'
_cell_length_a 4.2303
_cell_length_b 4.2303
_cell_length_c 7.4367
_cell_angle_alpha 90.00
_cell_angle_beta 90.00
_cell_angle_gamma 90.00
_space_group_name_H-M_alt 'I -4 m 2'
_space_group_IT_number 119
_space_group_name_Hall 'I -4 -2'
loop_
_atom_site_label
_atom_site_type_symbol
_atom_site_fract_x
_atom_site_fract_y
_atom_site_fract_z
_atom_site_occupancy
Zr1 Zr 0.0000 0.0000 0.0000 1
As1 As 0.0000 0.5000 0.2500 1
W1 W 0.0000 0.0000 0.5000 1
W2 W 0.0000 0.5000 0.7500 1
# Total energy ... -41.0 eV per formula unit
# N(E_F) ... 3.25 states/eV/f.u.
# Energy of formation ... 0.19 eV/atom

Record 2
# ZrAsW2 (GGA-PBEsol, optimized geometry)
data_ZrAsW2
_chemical_formula_sum 'Zr1 As1 W2'
_cell_length_a 3.4067
_cell_length_b 3.4067
_cell_length_c 5.7749
_cell_angle_alpha 90.00
_cell_angle_beta 90.00
_cell_angle_gamma 90.00
_space_group_name_H-M_alt 'P 4/m m m'
_space_group_IT_number 123
_space_group_name_Hall '-P 4 2'
loop_
_atom_site_label
_atom_site_type_symbol
_atom_site_fract_x
_atom_site_fract_y
_atom_site_fract_z
_atom_site_occupancy
Zr1 Zr 0.0000 0.0000 0.0000 1
As1 As 0.0000 0.0000 0.5000 1
W1 W 0.5000 0.5000 0.2715 1
# Total energy ... -41.1 eV per formula unit
# N(E_F) ... 2.50 states/eV/f.u.
# Energy of formation ... 0.18 eV/atom

Record 3
# ZrAs2W (GGA-PBEsol, optimized geometry)
data_ZrAs2W
_chemical_formula_sum 'Zr1 As2 W1'
_cell_length_a 3.4158
_cell_length_b 3.4158
_cell_length_c 5.8773
_cell_angle_alpha 90.00
_cell_angle_beta 90.00
_cell_angle_gamma 90.00
_space_group_name_H-M_alt 'P 4 m m'
_space_group_IT_number 99
_space_group_name_Hall 'P 4 -2'
loop_
_atom_site_label
_atom_site_type_symbol
_atom_site_fract_x
_atom_site_fract_y
_atom_site_fract_z
_atom_site_occupancy
Zr1 Zr 0.0000 0.0000 0.0000 1
As1 As 0.0000 0.0000 0.5101 1
As2 As 0.5000 0.5000 0.1920 1
W1 W 0.5000 0.5000 0.6863 1
# Total energy ... -34.8 eV per formula unit
# N(E_F) ... 1.70 states/eV/f.u.
# Energy of formation ... -0.42 eV/atom

Record 4
# ZrAs2W (GGA-PBEsol, optimized geometry)
data_ZrAs2W
_chemical_formula_sum 'Zr2 As4 W2'
_cell_length_a 9.3082
_cell_length_b 3.2806
_cell_length_c 4.5627
_cell_angle_alpha 90.00
_cell_angle_beta 103.19
_cell_angle_gamma 90.00
_space_group_name_H-M_alt 'C 1 m 1'
_space_group_IT_number 8
_space_group_name_Hall 'C -2y'
loop_
_atom_site_label
_atom_site_type_symbol
_atom_site_fract_x
_atom_site_fract_y
_atom_site_fract_z
_atom_site_occupancy
Zr1 Zr 0.0000 0.0000 0.0000 1
As1 As 0.0001 0.5000 0.5027 1
As2 As 0.2656 0.0000 0.8759 1
W1 W 0.2763 0.5000 0.3989 1
# Total energy ... -34.7 eV per formula unit
# N(E_F) ... 1.15 states/eV/f.u.
# Energy of formation ... -0.39 eV/atom

Record 5
# Zr4AsW (GGA-PBEsol, optimized geometry)
data_Zr4AsW
_chemical_formula_sum 'Zr16 As4 W4'
_cell_length_a 7.7990
_cell_length_b 7.7990
_cell_length_c 7.7990
_cell_angle_alpha 90.00
_cell_angle_beta 90.00
_cell_angle_gamma 90.00
_space_group_name_H-M_alt 'F -4 3 m'
_space_group_IT_number 216
_space_group_name_Hall 'F -4 2 3'
loop_
_atom_site_label
_atom_site_type_symbol
_atom_site_fract_x
_atom_site_fract_y
_atom_site_fract_z
_atom_site_occupancy
Zr1 Zr 0.1233 0.1233 0.1233 1
As1 As 0.0000 0.0000 0.5000 1
W1 W 0.2500 0.2500 0.7500 1
# Total energy ... -51.9 eV per formula unit
# N(E_F) ... 7.53 states/eV/f.u.
# Energy of formation ... 0.56 eV/atom

Record 6
# ZrAsW2 (GGA-PBEsol, optimized geometry)
data_ZrAsW2
_chemical_formula_sum 'Zr2 As2 W4'
_cell_length_a 3.3201
_cell_length_b 4.7867
_cell_length_c 8.4996
_cell_angle_alpha 90.00
_cell_angle_beta 90.00
_cell_angle_gamma 90.00
_space_group_name_H-M_alt 'C m m m'
_space_group_IT_number 65
_space_group_name_Hall '-C 2 2'
loop_
_atom_site_label
_atom_site_type_symbol
_atom_site_fract_x
_atom_site_fract_y
_atom_site_fract_z
_atom_site_occupancy
Zr1 Zr 0.0000 0.0000 0.0000 1
As1 As 0.0000 0.0000 0.5000 1
W1 W 0.0000 0.5000 0.2708 1
# Total energy ... -40.8 eV per formula unit